-- Source --
=====
1.
Formula: C61H53NO2P2Pd
Source: the Open Molecules 2025 dataset
Level of theory: ωB97M-V with the def2-TZVPD basis set

```
120
Properties=species:S:1:pos:R:3:mulliken_charge:R:1
Pd 0.937 0.864 -1.095 0.89
P 1.760 2.110 -2.793 1.61
P 1.358 1.647 1.017 1.08
O -0.889 -5.797 2.854 -0.43
O -0.428 -3.595 2.650 -0.68
N -2.580 -4.457 2.118 -0.25
C -0.120 0.241 -6.556 -0.48
C 2.289 4.218 1.752 -0.13
C 4.121 -0.787 2.795 -0.68
C 4.235 5.235 0.719 -0.82
C 4.300 2.983 -3.512 -0.42
C -1.151 2.865 1.037 -0.49
C 3.338 -1.796 3.358 -1.06
C 5.675 2.839 -3.700 -0.65
C -0.171 2.216 1.807 0.70
C -1.267 -4.503 2.529 0.17
C -6.459 -6.217 3.526 -0.40
C 1.850 -2.426 -3.569 -0.68
C -3.974 -5.779 3.829 -1.01
C 1.842 -2.047 -0.776 -0.06
C -0.914 0.866 -5.585 -0.75
C 1.285 4.550 -4.128 -0.63
C 1.949 -1.710 3.257 -0.37
C 5.581 0.633 -2.686 -0.52
C -8.012 -4.383 3.214 -0.40
C -2.447 3.314 3.033 -0.57
C -5.660 -3.927 3.587 -0.20
C 1.083 1.421 -4.315 0.78
C 1.340 -0.606 2.662 -0.24
C 1.410 3.887 -2.896 -0.31
C -3.115 -1.246 0.638 0.63
C -1.720 -1.453 -1.379 -0.77
C 1.306 4.636 -1.715 -0.09
C -0.447 -1.068 -0.845 2.22
C 1.059 6.683 -2.987 -0.67
C 3.547 1.941 -2.948 0.45
C -4.190 -0.339 0.811 -0.67
C -1.963 -6.656 2.485 -0.65
C -2.297 -1.496 1.756 0.79
C -5.402 -5.303 3.648 0.38
C -2.853 -1.798 -0.664 -1.85
C 0.779 -1.777 -2.978 -0.21
C 3.136 5.314 1.580 -0.74
C -0.316 1.457 -4.469 -0.43
C 6.320 1.665 -3.282 -0.64
C 0.781 -1.533 -1.566 0.98
C 1.870 0.787 -5.283 -0.51
C 4.508 4.041 0.047 -1.09
C -3.616 0.019 3.142 -0.66
C -0.345 2.117 3.198 -0.36
C -7.766 -5.760 3.320 -0.51
C 1.135 6.020 -1.755 -1.05
C -2.273 3.421 1.650 -0.73
C 2.127 0.396 2.070 1.36
C -6.968 -3.465 3.396 -0.52
C -1.480 2.661 3.796 -0.82
C 3.530 0.299 2.150 -1.14
C 4.196 0.762 -2.535 -0.31
C -2.550 -0.879 2.980 -1.30
C 2.543 3.028 1.049 0.29
C 3.694 2.931 0.245 -0.18
C 2.885 -2.730 -1.390 -0.89
C 1.123 5.940 -4.173 -0.60
C -4.430 0.293 2.031 -0.62
C -3.189 -5.735 2.475 0.14
C 1.272 0.188 -6.395 -0.66
C 2.876 -2.933 -2.771 -0.54
H 6.240 3.646 -4.173 0.39
H 1.894 -0.311 -7.144 0.43
H -4.792 -0.088 -0.062 0.44
H -3.665 -2.305 -1.220 0.45
H 2.955 0.775 -5.167 0.38
H -0.035 -1.385 -3.587 -0.02
H 1.078 6.591 -0.822 0.46
H -0.400 -0.942 0.251 -1.26
H -4.005 -6.837 4.120 0.40
H -2.003 0.904 -5.708 0.42
H -3.891 -6.124 1.708 0.35
H -0.926 1.937 -3.705 0.45
H -3.400 -5.176 4.549 0.30
H -9.029 -4.036 3.017 0.34
H 2.941 6.240 2.122 0.44
H -3.837 0.513 4.102 0.46
H 1.787 -1.864 0.295 0.38
H 3.925 1.981 -0.246 0.51
H 1.317 -2.517 3.617 0.54
H 1.053 6.446 -5.137 0.41
H -2.065 -7.486 3.191 0.37
H -3.321 3.755 3.516 0.38
H 7.401 1.561 -3.424 0.34
H 3.799 3.899 -3.818 0.36
H 0.957 7.773 -3.023 0.38
H 3.616 -0.050 -2.088 -0.10
H -1.008 2.950 -0.043 0.33
H 1.893 -2.511 -4.661 0.41
H 4.154 1.073 1.711 0.44
H 1.432 4.267 2.428 0.37
H -8.592 -6.468 3.254 0.36
H 3.733 -3.055 -0.784 0.47
H -1.767 -1.461 -2.474 0.33
H 3.810 -2.647 3.854 0.39
H -5.259 0.998 2.127 0.46
H -7.156 -2.388 3.400 0.37
H -0.585 -0.186 -7.449 0.37
H -1.509 -2.243 1.676 1.23
H -2.996 3.972 1.050 0.40
H 0.251 -0.535 2.637 -0.16
H 5.362 3.950 -0.624 0.41
H -1.599 2.602 4.879 0.43
H 5.206 -0.856 2.832 0.44
H 3.690 -3.510 -3.245 0.37
H 1.385 4.119 -0.755 0.53
H 1.334 3.969 -5.048 0.45
H -1.953 -1.157 3.834 0.45
H 6.084 -0.282 -2.345 0.45
H -4.814 -3.243 3.686 0.29
H -1.787 -6.999 1.451 0.25
H -6.265 -7.287 3.591 0.30
H 4.892 6.094 0.578 0.41
H 0.422 1.643 3.808 0.46
```

LUMO energy	-0.08253	Eh
frontier orbital gap	3.9	eV
HOMO	-6.16	eV
energy relative to the best compared isomer or geometry (same formula, charge and spin)	24.5	kcal per mole

=====

2.
Formula: C9H11N2S
Source: the Open Molecules 2025 dataset
Level of theory: ωB97M-V with the def2-TZVPD basis set

```
23
Properties=species:S:1:pos:R:3:mulliken_charge:R:1
S -3.012 -0.165 -0.926 -0.10
N -1.481 1.274 0.643 -0.14
N -1.419 -2.294 -0.241 -0.35
C 0.585 -0.142 0.277 1.14
C 0.744 0.267 -1.026 -0.50
C 3.181 -0.192 -0.819 -0.51
C -2.945 1.093 0.363 -0.48
C -1.747 -1.142 -0.150 0.38
=====

-- To do --
The reader should start at the top of the data further up and write out each line, ending with the one that has "0.363 -0.48".

-- Outcome --
1.
Formula: C61H53NO2P2Pd
Source: the Open Molecules 2025 dataset
Level of theory: ωB97M-V with the def2-TZVPD basis set

```
120
Properties=species:S:1:pos:R:3:mulliken_charge:R:1
Pd 0.937 0.864 -1.095 0.89
P 1.760 2.110 -2.793 1.61
P 1.358 1.647 1.017 1.08
O -0.889 -5.797 2.854 -0.43
O -0.428 -3.595 2.650 -0.68
N -2.580 -4.457 2.118 -0.25
C -0.120 0.241 -6.556 -0.48
C 2.289 4.218 1.752 -0.13
C 4.121 -0.787 2.795 -0.68
C 4.235 5.235 0.719 -0.82
C 4.300 2.983 -3.512 -0.42
C -1.151 2.865 1.037 -0.49
C 3.338 -1.796 3.358 -1.06
C 5.675 2.839 -3.700 -0.65
C -0.171 2.216 1.807 0.70
C -1.267 -4.503 2.529 0.17
C -6.459 -6.217 3.526 -0.40
C 1.850 -2.426 -3.569 -0.68
C -3.974 -5.779 3.829 -1.01
C 1.842 -2.047 -0.776 -0.06
C -0.914 0.866 -5.585 -0.75
C 1.285 4.550 -4.128 -0.63
C 1.949 -1.710 3.257 -0.37
C 5.581 0.633 -2.686 -0.52
C -8.012 -4.383 3.214 -0.40
C -2.447 3.314 3.033 -0.57
C -5.660 -3.927 3.587 -0.20
C 1.083 1.421 -4.315 0.78
C 1.340 -0.606 2.662 -0.24
C 1.410 3.887 -2.896 -0.31
C -3.115 -1.246 0.638 0.63
C -1.720 -1.453 -1.379 -0.77
C 1.306 4.636 -1.715 -0.09
C -0.447 -1.068 -0.845 2.22
C 1.059 6.683 -2.987 -0.67
C 3.547 1.941 -2.948 0.45
C -4.190 -0.339 0.811 -0.67
C -1.963 -6.656 2.485 -0.65
C -2.297 -1.496 1.756 0.79
C -5.402 -5.303 3.648 0.38
C -2.853 -1.798 -0.664 -1.85
C 0.779 -1.777 -2.978 -0.21
C 3.136 5.314 1.580 -0.74
C -0.316 1.457 -4.469 -0.43
C 6.320 1.665 -3.282 -0.64
C 0.781 -1.533 -1.566 0.98
C 1.870 0.787 -5.283 -0.51
C 4.508 4.041 0.047 -1.09
C -3.616 0.019 3.142 -0.66
C -0.345 2.117 3.198 -0.36
C -7.766 -5.760 3.320 -0.51
C 1.135 6.020 -1.755 -1.05
C -2.273 3.421 1.650 -0.73
C 2.127 0.396 2.070 1.36
C -6.968 -3.465 3.396 -0.52
C -1.480 2.661 3.796 -0.82
C 3.530 0.299 2.150 -1.14
C 4.196 0.762 -2.535 -0.31
C -2.550 -0.879 2.980 -1.30
C 2.543 3.028 1.049 0.29
C 3.694 2.931 0.245 -0.18
C 2.885 -2.730 -1.390 -0.89
C 1.123 5.940 -4.173 -0.60
C -4.430 0.293 2.031 -0.62
C -3.189 -5.735 2.475 0.14
C 1.272 0.188 -6.395 -0.66
C 2.876 -2.933 -2.771 -0.54
H 6.240 3.646 -4.173 0.39
H 1.894 -0.311 -7.144 0.43
H -4.792 -0.088 -0.062 0.44
H -3.665 -2.305 -1.220 0.45
H 2.955 0.775 -5.167 0.38
H -0.035 -1.385 -3.587 -0.02
H 1.078 6.591 -0.822 0.46
H -0.400 -0.942 0.251 -1.26
H -4.005 -6.837 4.120 0.40
H -2.003 0.904 -5.708 0.42
H -3.891 -6.124 1.708 0.35
H -0.926 1.937 -3.705 0.45
H -3.400 -5.176 4.549 0.30
H -9.029 -4.036 3.017 0.34
H 2.941 6.240 2.122 0.44
H -3.837 0.513 4.102 0.46
H 1.787 -1.864 0.295 0.38
H 3.925 1.981 -0.246 0.51
H 1.317 -2.517 3.617 0.54
H 1.053 6.446 -5.137 0.41
H -2.065 -7.486 3.191 0.37
H -3.321 3.755 3.516 0.38
H 7.401 1.561 -3.424 0.34
H 3.799 3.899 -3.818 0.36
H 0.957 7.773 -3.023 0.38
H 3.616 -0.050 -2.088 -0.10
H -1.008 2.950 -0.043 0.33
H 1.893 -2.511 -4.661 0.41
H 4.154 1.073 1.711 0.44
H 1.432 4.267 2.428 0.37
H -8.592 -6.468 3.254 0.36
H 3.733 -3.055 -0.784 0.47
H -1.767 -1.461 -2.474 0.33
H 3.810 -2.647 3.854 0.39
H -5.259 0.998 2.127 0.46
H -7.156 -2.388 3.400 0.37
H -0.585 -0.186 -7.449 0.37
H -1.509 -2.243 1.676 1.23
H -2.996 3.972 1.050 0.40
H 0.251 -0.535 2.637 -0.16
H 5.362 3.950 -0.624 0.41
H -1.599 2.602 4.879 0.43
H 5.206 -0.856 2.832 0.44
H 3.690 -3.510 -3.245 0.37
H 1.385 4.119 -0.755 0.53
H 1.334 3.969 -5.048 0.45
H -1.953 -1.157 3.834 0.45
H 6.084 -0.282 -2.345 0.45
H -4.814 -3.243 3.686 0.29
H -1.787 -6.999 1.451 0.25
H -6.265 -7.287 3.591 0.30
H 4.892 6.094 0.578 0.41
H 0.422 1.643 3.808 0.46
```

LUMO energy	-0.08253	Eh
frontier orbital gap	3.9	eV
HOMO	-6.16	eV
energy relative to the best compared isomer or geometry (same formula, charge and spin)	24.5	kcal per mole

=====

2.
Formula: C9H11N2S
Source: the Open Molecules 2025 dataset
Level of theory: ωB97M-V with the def2-TZVPD basis set

```
23
Properties=species:S:1:pos:R:3:mulliken_charge:R:1
S -3.012 -0.165 -0.926 -0.10
N -1.481 1.274 0.643 -0.14
N -1.419 -2.294 -0.241 -0.35
C 0.585 -0.142 0.277 1.14
C 0.744 0.267 -1.026 -0.50
C 3.181 -0.192 -0.819 -0.51
C -2.945 1.093 0.363 -0.48